Job:
Your job: search the data underneath for the word "energy" and give back each line that has it.
Excerpt:
<<<
The following is a PBE calculation of Zn3O3F after structural relaxation, from Alexandria.

Summary:
The volume comes out at 175 Å³ per cell. The calculation puts the formation energy (no corrections) at -1263 meV/atom.

Cell lengths 5.5963, 5.5963, 5.5963 Å; angles 90.00, 90.00, 90.00 degrees
Element x y z (fractional)
1 Zn 0.0000 0.2500 0.5000
2 Zn 0.0000 0.7500 0.5000
3 Zn 0.2500 0.5000 0.0000
4 Zn 0.5000 0.0000 0.2500
5 Zn 0.5000 0.0000 0.7500
6 Zn 0.7500 0.5000 0.0000
7 O 0.0000 0.5000 0.2500
8 O 0.0000 0.5000 0.7500
9 O 0.2500 0.0000 0.5000
10 O 0.5000 0.2500 0.0000
11 O 0.5000 0.7500 0.0000
12 O 0.7500 0.0000 0.5000
13 F 0.0000 0.0000 0.0000
14 F 0.5000 0.5000 0.5000



The following is a PBE calculation of ZnO2F2 after structural relaxation, from Alexandria.

Summary:
The volume comes out at 142 Å³ per cell. The calculation puts the formation energy (no corrections) at -832 meV/atom.

Cell lengths 10.4144, 8.8428, 5.8625 Å; angles 87.73, 58.04, 34.23 degrees
Element x y z (fractional)
1 Zn 0.1250 0.1250 0.1250
2 Zn 0.8750 0.8750 0.8750
3 O 0.0984 0.6516 0.0984
4 O 0.3484 0.9016 0.3484
5 O 0.6516 0.0984 0.6516
6 O 0.9016 0.3484 0.9016
7 F 0.2996 0.2996 0.4504
8 F 0.4504 0.4504 0.2996
9 F 0.5496 0.5496 0.7004
10 F 0.7004 0.7004 0.5496



The following is a PBE calculation of ZnOF2 after structural relaxation, from Alexandria.

Summary:
The volume comes out at 115 Å³ per cell. The calculation puts the formation energy (no corrections) at -1673 meV/atom. The calculation puts the relative energy among the computed polymorphs at 4 meV per atom.

Cell lengths 3.2036, 3.2036, 12.9537 Å; angles 94.44, 94.44, 59.98 degrees
Element x y z (fractional)
1 Zn 0.2022 0.2022 0.1713
2 Zn 0.7978 0.7978 0.8287
3 O 0.0484 0.0484 0.5447
4 O 0.9516 0.9516 0.4553
5 F 0.1466 0.1466 0.9034
6 F 0.4486 0.4486 0.7537
7 F 0.5514 0.5514 0.2463
8 F 0.8534 0.8534 0.0966



The following is a PBE calculation of ZnO2F2 after structural relaxation, from Alexandria.

Summary:
The volume comes out at 64 Å³ per cell. The calculation puts the formation energy (no corrections) at -259 meV/atom.

Cell lengths 3.9244, 3.9244, 4.1291 Å; angles 90.00, 90.00, 90.00 degrees
Element x y z (fractional)
1 Zn 0.0000 0.0000 0.0000
2 O 0.0000 0.0000 0.5000
3 O 0.5000 0.5000 0.5000
4 F 0.0000 0.5000 0.0000
5 F 0.5000 0.0000 0.0000



The following is a PBE calculation of ZnO2F2 after structural relaxation, from Alexandria.

Summary:
The volume comes out at 55 Å³ per cell. The calculation puts the formation energy (no corrections) at 415 meV/atom.

Cell lengths 3.4595, 3.4595, 4.5661 Å; angles 90.00, 90.00, 90.00 degrees
Element x y z (fractional)
1 Zn 0.0000 0.0000 0.0000
2 O 0.0000 0.5000 0.5000
3 O 0.5000 0.0000 0.5000
4 F 0.5000 0.5000 0.0000
5 F 0.5000 0.5000 0.5000



The following is a PBE calculation of ZnOF2 after structural relaxation, from Alexandria.

Summary:
The volume comes out at 63 Å³ per cell. The calculation puts the formation energy (no corrections) at -966 meV/atom. The calculation puts the relative energy among the computed polymorphs at 710 meV per atom.

Cell lengths 7.6090, 7.6090, 7.6090 Å; angles 23.73, 23.73, 23.73 degrees
Element x y z (fractional)
1 Zn 0.0000 0.0000 0.0000
2 O 0.5000 0.5000 0.5000
3 F 0.3785 0.3785 0.3785
4 F 0.6215 0.6215 0.6215



The following is a PBE calculation of ZnOF2 after structural relaxation, from Alexandria.

Summary:
The volume comes out at 70 Å³ per cell. The calculation puts the formation energy (no corrections) at -339 meV/atom. The calculation puts the relative energy among the computed polymorphs at 1338 meV per atom.

Cell lengths 8.3304, 8.3304, 8.3304 Å; angles 21.75, 21.75, 21.75 degrees
Element x y z (fractional)
1 Zn 0.0000 0.0000 0.0000
2 O 0.5000 0.5000 0.5000
3 F 0.0711 0.0711 0.0711
4 F 0.9289 0.9289 0.9289



The following is a PBE calculation of ZnOF2 after structural relaxation, from Alexandria.

Summary:
>>>
Written answer:
The volume comes out at 175 Å³ per cell. The calculation puts the formation energy (no corrections) at -1263 meV/atom.
The volume comes out at 142 Å³ per cell. The calculation puts the formation energy (no corrections) at -832 meV/atom.
The volume comes out at 115 Å³ per cell. The calculation puts the formation energy (no corrections) at -1673 meV/atom. The calculation puts the relative energy among the computed polymorphs at 4 meV per atom.
The volume comes out at 64 Å³ per cell. The calculation puts the formation energy (no corrections) at -259 meV/atom.
The volume comes out at 55 Å³ per cell. The calculation puts the formation energy (no corrections) at 415 meV/atom.
The volume comes out at 63 Å³ per cell. The calculation puts the formation energy (no corrections) at -966 meV/atom. The calculation puts the relative energy among the computed polymorphs at 710 meV per atom.
The volume comes out at 70 Å³ per cell. The calculation puts the formation energy (no corrections) at -339 meV/atom. The calculation puts the relative energy among the computed polymorphs at 1338 meV per atom.